clever creative shoot

at the end of february I had a shoot with the creative design agency, clever creative. their office is located on venice and abbot kinney, so we headed to the streets to get some shots for their soon to be updated website.

the idea of "office shots" can cause a little fear in me as I imagine boring head shots and photos of people sitting behind computers.....but going against the norm, they wanted something "clever and creative" (of course). I was given free reign to shoot exactly how I like.

they were a dream to work with. positive energy oozed out of everyone. I left the shoot thinking seriously about going into graphic design so I could work with them everyday. shannon was professional and laid back , making for the perfect combination of productivity and fun. PLUS when I showed up there was freshly baked homemade bread. what?!

these guys are totally dope.


saturday we took some pretty great shots of purrington. we needed to showcase his long hair before a cut. more of these lates.

just got back from hawaii and have a lot of stuff to edit through and will be doing that in the next day or expecting, more white family, more hawaii, more purrington, more weddings.

johnny flynn show- hotel cafe

another great show shot for indie rock reviews. watching johnny flynn sing makes me feel like I'm watching the younger brother of a best friend perform and am shocked he has sex appeal and I had never noticed before. why does holding a guitar and producing intoxicating vocals do that? I have been and always will be a roadie at heart. I just want to wipe the sweat off of the stage floor.

show was at the hotel cafe in hollywood.

listen to his irish/english/folkie sound here. (fyi: I think my favorite song of his is "sally")

the mailman

These quantum chemistry results were left in the entry by mistake:
____________
No. 1
{
  "formula": "C3H4N2O",
  "method": "the ωB97M-V functional and the def2-TZVPD basis",
  "homo_energy_ev": [-8.25, -8.07],
  "charge": 0,
  "lumo_ha": [-0.0444, -0.0450],
  "largest_force_ha_per_bohr": 0.1072,
  "symbols": ["C", "C", "C", "N", "N", "O", "H", "H", "H", "H"],
  "positions_angstrom": [[0.836, 0.846, -0.246], [-0.333, 0.393, 0.440], [0.582, -1.280, -0.627], [1.375, -0.176, -0.845], [-1.673, 1.963, 1.386], [-0.439, -0.864, 0.307], [0.998, 1.815, -0.374], [0.098, -1.518, -1.545], [0.867, -2.293, -0.145], [-2.313, 1.115, 1.649]]
}



No. 2
{
  "formula": "C4H12N4",
  "method": "the ωB97M-V functional and the def2-TZVPD basis",
  "homo_energy_ev": -17.89,
  "charge": 2,
  "lumo_ha": -0.3247,
  "largest_force_ha_per_bohr": 0.0791,
  "symbols": ["C", "C", "C", "C", "N", "N", "N", "N", "H", "H", "H", "H", "H", "H", "H", "H", "H", "H", "H", "H"],
  "positions_angstrom": [[1.102, 2.235, -0.808], [-0.890, 3.183, -1.987], [-1.485, -2.390, 0.450], [-0.279, -2.602, 1.078], [0.065, 2.832, -1.258], [1.393, 1.074, -0.232], [0.409, 0.149, 0.272], [0.751, -0.514, 1.389], [1.857, 2.950, -1.132], [-1.389, 4.054, -1.669], [-1.152, 2.824, -3.036], [-2.408, -2.222, 1.102], [-1.337, -1.763, -0.498], [-1.534, -3.469, 0.021], [0.591, -2.967, 0.631], [-0.097, -2.950, 2.071], [2.279, 0.994, 0.339], [0.153, -0.549, -0.487], [1.714, -0.786, 1.600], [0.256, -0.082, 2.156]]
}



What energy above the lowest of the compared OMol25 structures with the same formula, charge and spin values result from the calculations? In sequence: 8.296; 5.676 eV.

~~~~~

DFT (the ωB97M-V functional and the def2-TZVPD basis) results for C19H23N5O2 in the gas phase.

```
! wB97M-V def2-TZVPD RIJCOSX def2/J DEFGRID3
* xyz 0 1
O 2.237 2.881 -2.931
O -0.916 -0.263 3.327
N -3.574 -2.204 -4.496
N 1.610 0.923 -0.571
N -3.561 -2.375 -3.117
N -0.227 -0.528 -0.890
N -3.296 -2.594 -0.384
C 0.587 0.184 -0.069
C 0.327 0.325 1.304
C -0.760 -0.267 1.994
C -1.584 -1.011 1.058
C -2.471 -1.839 -2.478
C 0.958 3.431 -3.034
C -2.263 -1.974 -1.048
C -2.404 -1.668 -4.684
C -2.727 -1.655 1.621
C 0.466 0.251 5.240
C 2.674 2.153 -1.723
C -1.690 -1.330 -3.488
C 0.203 -0.710 4.096
C 4.244 2.248 -1.704
C 2.042 2.294 -0.328
C -3.559 -2.455 0.938
C -1.327 -1.200 -0.294
C -0.038 -2.179 4.507
C 2.176 0.748 -1.915
H 0.635 1.196 4.906
H -0.191 -2.663 3.515
H 1.044 0.943 1.884
H -0.322 0.181 5.912
H 4.581 3.287 -1.723
H 0.816 4.025 -3.925
H -2.875 -1.513 2.669
H 1.393 0.095 5.757
H 4.511 1.705 -2.650
H 0.050 2.781 -3.124
H 2.729 2.406 0.471
H -0.861 -0.648 -3.331
H -1.961 -1.434 -5.716
H 2.966 -0.054 -1.970
H 1.194 2.898 -0.328
H -1.028 -2.353 5.018
H 4.717 1.724 -0.852
H 1.169 -0.715 3.554
H -4.429 -2.886 1.383
H -4.430 -2.344 -2.578
H 0.848 4.109 -2.135
H 0.852 -2.557 5.070
H 1.464 0.628 -2.741
*
```

Computed properties:
- SMILES: COC1(C)CN(c2cc(OC(C)C)c3ccnc(-c4ccn[nH]4)c3n2)C1
- LUMO: -0.0103 hartree
- ΔE to the lowest compared entry with this formula, charge and spin: 6.680 eV
- HOMO energy: -8.00 eV
____________

I revisited these images this week for a past client. He was commissioned to sculpt both the statues of Karl Malone and John Stockton that live outside the Delta Center in SLC. I took some photos of him working in the final stages of the Malone statue. seriously amazing. it took up his entire front room...and then some. How do you keep your perspective working on something that large? How do you create a head 10 times the size of yours?

see more of is work here.

### What comes next are data records, not part of the page
********
The molecule C6H15NO at a distorted geometry, computed with ωB97M-V/def2-TZVPD.

Output
Molar mass: 117.2 g/mol
Gap between HOMO and LUMO: 0.368 Eh
ΔE to the lowest compared entry with this formula, charge and spin: 26.16 kcal per mole
Total energy: -10002.623 eV
HOMO: -8.93 eV

Element x y z (Å)
C: -0.171 -0.360 -1.558
N: 0.477 -0.040 -0.270
C: -0.239 -0.580 0.884
C: -0.875 0.530 1.706
C: -1.956 0.004 2.646
O: 0.121 1.186 2.481
C: 0.672 0.182 -2.707
C: 1.847 -0.700 -3.110
H: -0.354 -1.433 -1.671
H: -1.120 0.175 -1.539
H: 1.440 -0.353 -0.274
H: -0.995 -1.316 0.590
H: 0.406 -1.131 1.576
H: -1.371 1.233 1.042
H: -2.807 -0.341 2.069
H: -1.590 -0.849 3.223
H: -2.261 0.782 3.341
H: 0.570 1.805 1.895
H: 1.023 1.179 -2.438
H: 0.008 0.348 -3.557
H: 1.506 -1.686 -3.435
H: 2.419 -0.230 -3.899
H: 2.468 -0.903 -2.233

A cluster of 2 separate species, C6H8S in total at a distorted geometry, computed with ωB97M-V/def2-TZVPD.

Output
Molar mass: 112.2 g/mol
Gap between HOMO and LUMO: 0.321 Eh
ΔE to the lowest compared entry with this formula, charge and spin: 118.88 kcal per mole
Total energy: -17181.316 eV
HOMO: -7.77 eV

Element x y z (Å)
C: -0.118 0.201 2.004
C: -0.585 -0.490 0.777
C: 1.286 0.528 1.949
C: 0.364 -0.521 -0.097
C: 1.771 -0.043 0.556
C: -1.405 -0.022 1.907
S: -2.670 -0.843 -3.006
H: 1.674 1.545 2.102
H: 1.759 0.110 2.785
H: 0.522 -1.133 -0.906
H: -2.561 0.049 -3.988
H: 2.391 0.590 -0.064
H: 2.301 -1.038 0.523
H: -2.432 0.184 2.176
H: -1.466 -1.390 -3.345

A structure of composition C33H25BrCl3GeIN5O2Zr at a distorted geometry, computed with ωB97M-V/def2-TZVPD.

Output
Molar mass: 1000.6 g/mol
Net charge: +3
Gap between HOMO and LUMO: 0.213 Eh
ΔE to the lowest compared entry with this formula, charge and spin: 9.21 kcal per mole
Total energy: -219654.778 eV
HOMO: -16.13 eV

Element x y z (Å)
Zr: -0.272 0.013 1.082
N: 0.633 -5.674 -8.218
C: 0.338 -5.093 -7.272
C: -0.020 -4.366 -6.091
C: -1.021 -3.397 -6.143
C: -1.356 -2.691 -5.003
C: -0.694 -2.959 -3.812
C: 0.294 -3.931 -3.748
C: 0.634 -4.632 -4.889
N: -1.046 -2.219 -2.634
C: -2.303 -1.771 -2.308
C: -2.184 -1.121 -1.126
N: -0.849 -1.130 -0.725
C: -0.209 -1.818 -1.677
H: -1.529 -3.196 -7.076
H: -2.114 -1.920 -5.057
H: 0.775 -4.174 -2.808
H: 1.396 -5.398 -4.852
H: -3.175 -1.977 -2.903
H: -2.970 -0.659 -0.559
H: 0.836 -2.058 -1.679
Ge: 1.853 2.035 1.955
C: 2.028 3.871 1.361
C: 3.097 4.612 1.862
C: 3.247 5.936 1.476
C: 2.338 6.513 0.601
C: 1.272 5.774 0.103
C: 1.110 4.451 0.482
C: 0.186 1.578 2.970
C: 0.063 0.323 3.602
C: -1.068 0.031 4.370
C: -2.043 0.999 4.561
C: -1.897 2.262 3.996
C: -0.809 2.538 3.178
H: 2.974 1.552 2.872
H: 3.806 4.161 2.546
H: 4.075 6.516 1.861
H: 2.459 7.546 0.304
H: 0.566 6.231 -0.578
H: 0.273 3.880 0.099
H: 0.933 -0.332 3.671
H: -1.145 -0.916 4.892
H: -2.897 0.787 5.191
H: -2.631 3.031 4.199
H: -0.687 3.527 2.749
Br: 3.696 -1.864 -3.077
C: 2.949 -0.855 -1.676
C: 2.403 0.398 -1.937
C: 1.869 1.143 -0.897
C: 1.896 0.671 0.428
C: 2.409 -0.631 0.659
C: 2.925 -1.385 -0.382
********
### The page goes on

molly sims

"celebrity" is such a weird concept for me. thursday as I was shooting, I thanked my lucky stars (pun intended) that I don't make my living as a celebrity photographer... paparazzi, event shooters etc...It's just not my cup of tea. I wasn't there to shoot celebrity's, but in one of my non shooting moments I stopped to watch as molly arrived and stopped for photos on the red carpet. hoards of photographers and cameras were flashing and calling her name. "molly, right here", "molly, give us a big smile". I was bugged for her. Although certain obligations come with certain jobs (like molly on the red carpet) I didn't envy her.

I was talking to one of the bouncers from The Republic, the restaurant in west hollywood where the party was, and he was saying that he has met and seen hundreds of celebrity's come in and out of his restaurant. One thing that he has learned is that they deal with all of the same problems we do...self esteem, family issues, money troubles, and fame don't make a person happy. So the bouncer and I, as we were solving all the worlds problems, came to one of my favorite conclusions: happiness is a choice.

So I will choose to be happy with my journey as a photographer, as should the celebrity photographers and the celebrity's themselves.

...and I will remain happy that I am not paparazzi.